Why is Everyone Sick? A Look into the “Tripledemic”


This winter, students with runny noses, coughs, and excruciating headaches have become a common sight on campus. Many Lakesiders have experienced recurring illnesses of higher intensity and extended durations, causing them to fall behind on classwork and leading to a spike in absences that has left classes feeling empty and low-energy. This phenomenon is not unique to the Lakeside community; health care providers all over the globe are reporting increases in cases of influenza, COVID-19, and respiratory syncytial virus (RSV) in a phenomenon that has been dubbed the “tripledemic.”

For the past two winters, Lakesiders were shielded from the usual seasonal flurry of sickness by online school, social distancing, and masks. This year, however, as COVID-19 restrictions have been lifted and people feel more comfortable socializing without masks, these wintertime viruses appear to be coming back stronger than before, with cases rising to the highest level for this time of year in over a decade. 

But why is all this happening now? Why this year in particular? Well, it’s complicated. This resurgence of viruses is caused by a plethora of factors, but two in particular stand out, says Dr. Christopher Gill, a professor of global health at Boston University who conducts RSV surveillance in Zambia. Temperature and weather play an important role in the ebb and flow of viruses, he says. “Some viruses like it when it’s hot, so we get outbreaks of certain viruses late in the summer. And there are other viruses that like it cold, like RSV and the flu…so you get them during the winter.”

The second and more obvious factor in this tripledemic is a global lack of population immunity. “During COVID, we introduced these non-pharmacological interventions,” Dr. Gill explains, “meaning hand-washing and masking and keeping kids home from school.” Although these interventions were designed to stop COVID-19, they also worked against other viruses. This meant fewer exposures and, consequently, less population immunity. This decreased immunity, when combined with the expiration of mask mandates and other interventions, resulted in an immediate rebound in cases. “I think of it as ‘you wind up the spring and you let the spring go,’ but what we’ve done is kept winding up the spring, and now we’ve got this massive rebound from all that pent-up demand for viruses,” says Dr. Gill.

Dr. Christopher Gill

This surge of sickness — particularly RSV — is especially dangerous for young children and elderly people, says Dr. Padmini Srikantiah, deputy director of the Bill & Melinda Gates Foundation, who researches RSV in infants. RSV is a respiratory virus spread through airborne droplets and physical contact. It’s a very common virus, and symptoms are mild for most people, but in infants it can cause severe lung infection. For older children, Dr. Srikantiah is more concerned about the flu: “I also think we ought to be concerned about the slightly older children and school-going kids who are seeing plenty of influenza right now.” 

Dr. Padmini Srikantiah

_Calculated crystals, kept here for reference_
Density functional theory data (PBE) for a relaxed structure of RbHgCl.

Polymorph energy (0 for the lowest one), meV/atom: 112.8
Space group: F-43m (216)
Calculated density, g/cm³: 4.252
E_tot, eV/cell: -6.5

abc: 5.620 5.620 5.620
angles: 60.00 60.00 60.00
Element x y z (fractional)
Rb 0.000 0.000 0.000
Hg 0.500 0.500 0.500
Cl 0.750 0.750 0.750

---

Density functional theory data (PBE) for a relaxed structure of Rb2HgCl4.

Space group: P2_1/m (11)
Calculated density, g/cm³: 3.369
E_tot, eV/cell: -38.7

abc: 7.718 7.467 9.246
angles: 90.00 108.25 90.00
Element x y z (fractional)
Rb 0.212 0.250 0.055
Rb 0.259 0.250 0.562
Rb 0.741 0.750 0.438
Rb 0.788 0.750 0.945
Hg 0.245 0.750 0.805
Hg 0.755 0.250 0.195
Cl 0.009 0.004 0.743
Cl 0.009 0.496 0.743
Cl 0.430 0.750 0.083
Cl 0.434 0.750 0.627
Cl 0.566 0.250 0.373
Cl 0.570 0.250 0.917
Cl 0.991 0.504 0.257
Cl 0.991 0.996 0.257

---

Density functional theory data (PBE) for a relaxed structure of Rb3HgCl.

Polymorph energy (0 for the lowest one), meV/atom: 0.0
Space group: Pm-3m (221)
Calculated density, g/cm³: 3.042
E_tot, eV/cell: -8.8

abc: 6.454 6.454 6.454
angles: 90.00 90.00 90.00
Element x y z (fractional)
Rb 0.000 0.000 0.500
Rb 0.000 0.500 0.000
Rb 0.500 0.000 0.000
Hg 0.500 0.500 0.500
Cl 0.000 0.000 0.000

---

Density functional theory data (PBE) for a relaxed structure of RbHg3Cl.

Polymorph energy (0 for the lowest one), meV/atom: 0.0
Space group: Pm-3m (221)
Calculated density, g/cm³: 4.588
E_tot, eV/cell: -5.2

abc: 6.395 6.395 6.395
angles: 90.00 90.00 90.00
Element x y z (fractional)
Rb 0.000 0.000 0.000
Hg 0.000 0.500 0.500
Hg 0.500 0.000 0.500
Hg 0.500 0.500 0.000
Cl 0.500 0.500 0.500

---

Density functional theory data (PBE) for a relaxed structure of RbHg2Cl.

Polymorph energy (0 for the lowest one), meV/atom: 0.0
Space group: I-42d (122)
Calculated density, g/cm³: 5.453
E_tot, eV/cell: -12.8

abc: 7.749 7.749 7.749
angles: 99.74 99.74 131.43
Element x y z (fractional)
Rb 0.000 0.000 0.000
Rb 0.750 0.250 0.500
Hg 0.154 0.625 0.029
Hg 0.375 0.404 0.529
Hg 0.596 0.125 0.971
Hg 0.875 0.846 0.471
Cl 0.250 0.750 0.500
Cl 0.500 0.500 0.000

---

Density functional theory data (PBE) for a relaxed structure of Rb5Hg3Cl12.

Space group: Ia-3d (230)
Calculated density, g/cm³: 3.078
E_tot, eV/cell: -208.2

abc: 15.976 15.976 15.976
angles: 109.47 109.47 109.47
Element x y z (fractional)
Rb 0.000 0.000 0.000
Rb 0.000 0.000 0.500
Rb 0.000 0.500 0.000
Rb 0.000 0.500 0.500
Rb 0.125 0.750 0.875
Rb 0.125 0.875 0.250
Rb 0.250 0.125 0.875
Rb 0.250 0.625 0.375
Rb 0.375 0.250 0.625
Rb 0.375 0.625 0.750
Rb 0.500 0.000 0.000
Rb 0.500 0.000 0.500
Rb 0.500 0.500 0.000
Rb 0.500 0.500 0.500
Rb 0.625 0.375 0.250
Rb 0.625 0.750 0.375
Rb 0.750 0.375 0.625
Rb 0.750 0.875 0.125
Rb 0.875 0.125 0.750
Rb 0.875 0.250 0.125
Hg 0.125 0.250 0.375
Hg 0.125 0.375 0.750
Hg 0.250 0.375 0.125
Hg 0.250 0.875 0.625
Hg 0.375 0.125 0.250
Hg 0.375 0.750 0.125
Hg 0.625 0.250 0.875
Hg 0.625 0.875 0.750
Hg 0.750 0.125 0.375
_Back to the page_

But the question remains: how to prevent the spread of these viruses? The straightforward solution, health officials say, is to avoid being in large group settings if you are symptomatic. The second is, of course, masking. Masking has helped us in the past with limiting the transmission of COVID-19, and it can help us now in the midst of this tripledemic. In Lakeside’s most recent health and safety update, the school echoed these recommendations, advising that students wear masks indoors to protect themselves and others. 

However, Dr. Gill points out that the situation may be more complicated: If masking has led to less exposure to viruses and decreased population immunity, is the solution more masking or is that just furthering the problem? The long-term goal is a predictable winter sickness season. “What we can’t plan for is a three-year tsunami of massive RSV because of all this pent-up demand. So we inadvertently created a new problem trying to solve the old problem,” he says.

Regardless of how Lakeside chooses to address this “tripledemic,” it is important to have faith in the medical system and to take care of ourselves through this tough winter season. If you are experiencing symptoms, get tested and at least wear a mask to school, or simply stay home. It won’t be the death of you to miss one math class. “Time tells us,” says Dr. Gill, “this, too, will pass. We just have to be patient. It’s going to be a bad year, but next year will be less bad.”